Thursday, March 15, 2018


The weather forecast for our part of Arizona says we might have scattered rain or snow showers today and tonight.

Reason enough to show you a closeup of a water color painting I picked up in Seattle some years ago.

It's called Seattle Rain and it might be more appropriate for Seattle than Arizona.

== Inserted here: data records ==
=====
(1)
AlHSCl2 | Alexandria | GGA-PBEsol | relaxed; magnetic moment = 0.10 μB per formula unit; SG = No. 123; final energy = -3.231 eV/atom; N(E_F) = 0.696 states/eV/atom
1.0
4.605 0.000 0.000
0.000 4.663 0.000
0.000 0.000 4.663
Cl H Al S
2 1 1 1
Cartesian
0.000 2.331 0.000
0.000 0.000 2.331
2.302 2.331 2.331
0.000 0.000 0.000
2.302 0.000 0.000

***

(2)
Hf2AlCl | Alexandria | GGA-PBEsol | relaxed; ΔE_f (raw) = 0.23 eV per atom; magnetic moment = 0.00 μB per formula unit; SG = No. 122; N(E_F) = 0.693 states/eV/atom
1.0
-3.874 -1.312 0.062
0.709 -2.251 -3.341
4.225 -5.754 7.278
Hf Al Cl
4 2 2
Cartesian
-2.052 -3.426 0.620
1.188 -6.533 3.423
0.209 -3.905 -1.080
2.776 -4.770 5.035
-0.616 -4.424 2.850
-1.582 -1.782 -1.640
0.000 0.000 0.000
1.676 -4.893 1.149

***

(3)
AlHg4Cl | Alexandria | GGA-PBEsol | relaxed; ΔE_f (raw) = 0.08 eV per atom; magnetic moment = 0.00 μB per formula unit; SG = No. 216; N(E_F) = 0.195 states/eV/atom
1.0
5.947 0.000 0.000
2.973 5.150 0.000
2.973 1.717 4.856
Hg Cl Al
4 1 1
Cartesian
5.947 3.433 4.251
7.436 2.574 1.820
4.458 2.574 1.820
5.947 5.152 1.820
0.000 0.000 0.000
8.920 5.150 3.642

***

(4)
Al2HgCl | Alexandria | GGA-PBEsol | relaxed; ΔE_f (raw) = 0.11 eV per atom; magnetic moment = 0.00 μB per formula unit; SG = No. 122; offset from the most stable computed form = 0.191 eV/atom; N(E_F) = 0.513 states/eV/atom
1.0
-2.661 1.778 4.898
0.063 -5.488 2.026
6.894 2.901 -0.803
Hg Al Cl
2 4 2
Cartesian
2.829 -2.221 2.343
0.000 0.000 0.000
0.816 -3.434 3.344
-0.616 0.247 4.910
3.547 -0.216 3.753
4.845 1.785 0.237
1.467 1.412 3.779
-1.299 -1.855 3.462

***

(5)
Al2HgCl | Alexandria | GGA-PBEsol | relaxed; ΔE_f (raw) = -0.08 eV per atom; magnetic moment = 0.00 μB per formula unit; SG = No. 44; offset from the most stable computed form = 0.000 eV/atom; N(E_F) = 0.349 states/eV/atom
1.0
-2.169 -1.422 -1.377
1.672 -3.972 1.469
-3.201 3.100 4.969
Hg Al Cl
1 2 1
Cartesian
-1.195 -1.749 3.688
-0.004 0.001 0.006
-2.452 -0.551 1.300
-0.294 -2.692 0.112

***

(6)
AlHgCl2 | Alexandria | GGA-PBEsol | relaxed; ΔE_f (raw) = -0.55 eV per atom; magnetic moment = 0.00 μB per formula unit; SG = No. 227; N(E_F) = 0.043 states/eV/atom
1.0
7.710 0.000 0.000
3.855 6.677 0.000
3.855 2.226 6.295
Al Cl Hg
2 4 2
Cartesian
3.855 2.226 1.574
0.000 0.000 0.000
5.782 1.113 0.787
3.855 4.451 0.787
1.927 1.113 0.787
3.855 2.226 3.934
7.710 4.451 3.148
11.565 6.677 4.721

***

(7)
AlHg2Cl | Alexandria | GGA-PBEsol | relaxed; ΔE_f (raw) = -0.16 eV per atom; magnetic moment = 0.00 μB per formula unit; SG = No. 99; offset from the most stable computed form = 0.090 eV/atom; N(E_F) = 0.259 states/eV/atom
1.0
-0.934 2.069 2.194
1.875 -1.400 2.119
6.940 5.669 -2.394
Hg Al Cl
2 1 1
Cartesian
0.092 0.075 -0.032
2.455 1.955 1.472
3.600 2.941 -1.242
5.205 4.202 0.523

***

(8)
=====

But I like it.

And actually I like the rain when it falls.

I used to love driving in it.

At night.

I'm older and wiser now.

Tuesday, March 13, 2018


I wouldn't attribute it to jealousy but every once in awhile, SWMBO tries to sabotage my attempt to lose weight.

Most recently it was with this delicious, taste-tempting, scrumptious Quiche Lorraine.

I ate more than my share but I'm back to my regime again and am holding this morning at 205.

And this is only a memory.

Monday, March 12, 2018


Apropos of whatever you prefer . . .

Sunday, March 11, 2018

Ahhhhhh . . . . .

Breaking News: Arizona stays on Standard Time!

(oh, you mean that's old history?

Never mind.)

Saturday, March 10, 2018


Judy's Christmas Cactus has become an Easter Cactus this year.

Friday, March 9, 2018


Well hello there!

Here we are once again, Gentle Readers.


I thought you'd have that feeling.

You know why he's so excited, don't you?

Big news out of the White House last night.

How will that go?

Well in the famous words of one of the participants "We'll see."

All right, on with the show.

You didn't think I'd forget the pie chart, did you?

All right that's enough.

After all we don't want to have to go to the hospital to have that laughter stitch removed from your side, do we?

Whatever you do, however you do it, no matter how silly you look, please have a super-duper weekend, Gentle Readers.

And always remember to keep laughing!

Here, kitty-kitty . . .

(Yes, you.)

Thursday, March 8, 2018


While I try to avoid politics in my blog I sometimes am drawn into it almost against my will.

Such is the situation today when I read in the New York Times that the daughter of an old pal I met in my Mexico days reportedly is considering a run for governor of New York.

A mutual friend in Seattle asked me this morning what I thought.

My response was that I knew Ms. Nixon had been a quite public activist dealing with the New York City public school system for a number of years.

I also said that 2018 is definitely The Year of the Woman in politics and that Cynthia is very intelligent.

But I'm also aware that running a state, especially one as large as New York, is a lot different from acting as one on stage or being an education activist.

On the other hand she does have that friendship with the mayor of the Big Apple to count on.

So who knows?

Maybe some day that young actress I got to know when she visited her dad in Mexico back in the 1980's may have a much larger platform in the 21st Century.

("Need a press secretary, Cynthia?") 

I do know one thing.

Her father would be even prouder of her than he was way back then in Guadalajara.